Input
********
Diffraction record for Fe3NiP4O16. The powder diffractogram is computed, not measured: it uses DFT lattice parameters and positions (GGA+U) and a wavelength of 1.5418 Å.

The 8 most intense peaks (2θ = 15–90°), low angle first:
hkl, d (Å), 2θ (°), I/Imax
0 0 2, 4.977, 17.82, 79
1 0 -1, 4.370, 20.32, 92
1 1 -1, 3.504, 25.42, 100
1 1 -2, 2.992, 29.87, 29
0 2 0, 2.932, 30.49, 80
1 1 -3, 2.485, 36.14, 51
1 1 3, 2.481, 36.21, 54
1 2 -1, 2.435, 36.92, 33

Cell and atoms:
Cell lengths 4.8636, 5.8633, 9.9532 Å; angles 90.00, 90.14, 90.00 degrees
Fractional positions:
1 Fe 0.0000 0.0000 0.0000
2 Fe 0.0916 0.5000 0.5488
3 Fe 0.5912 0.0000 0.5005
4 Ni 0.4885 0.5000 0.0525
5 P 0.1441 0.0000 0.6803
6 P 0.4443 0.0000 0.1800
7 P 0.6429 0.5000 0.3686
8 P 0.9504 0.5000 0.8728
9 O 0.2073 0.0000 0.8303
10 O 0.2645 0.5000 0.8903
11 O 0.2905 0.2029 0.1078
12 O 0.2905 0.7971 0.1078
13 O 0.2915 0.2045 0.6053
14 O 0.2915 0.7955 0.6053
15 O 0.3337 0.5000 0.3945
16 O 0.3911 0.0000 0.3314
17 O 0.7075 0.5000 0.2191
18 O 0.7524 0.0000 0.1534
19 O 0.7912 0.2962 0.4446
20 O 0.7912 0.7038 0.4446
21 O 0.8072 0.2927 0.9431
22 O 0.8072 0.7073 0.9431
23 O 0.8349 0.0000 0.6547
24 O 0.8951 0.5000 0.7205

----------

Entry 1:
Diffraction record for VOF. The X-ray diffraction stick pattern is simulated, not measured: it uses a structure optimized by DFT (PBE+U) and Cu Kα X-rays.
Neutral-atom scattering factors, no anomalous dispersion.

Crystal structure
Cell: 12.510 4.721 4.721 Å, 90.19 90.00 90.00°
Fractional coordinates of all 24 atoms:
V1 0.000 0.000 0.000
V2 0.124 0.500 0.441
V3 0.250 0.932 0.949
V4 0.376 0.500 0.441
V5 0.500 0.000 0.000
V6 0.624 0.441 0.500
V7 0.750 0.949 0.932
V8 0.876 0.441 0.500
O1 0.000 0.289 0.289
O2 0.124 0.787 0.154
O3 0.250 0.661 0.645
O4 0.376 0.787 0.154
O5 0.500 0.289 0.289
O6 0.624 0.154 0.787
O7 0.750 0.645 0.661
O8 0.876 0.154 0.787
F1 0.000 0.679 0.679
F2 0.126 0.180 0.763
F3 0.250 0.280 0.238
F4 0.374 0.180 0.763
F5 0.500 0.679 0.679
F6 0.626 0.763 0.180
F7 0.750 0.238 0.280
F8 0.874 0.763 0.180

Principal peaks in the range 2θ from 15° to 90°, low angle first:
d 3.338, 2θ 26.70, I = 100; d 2.607, 2θ 34.40, I = 51; d 2.282, 2θ 39.48, I = 27; d 1.752, 2θ 52.22, I = 29; d 1.748, 2θ 52.33, I = 28; d 1.563, 2θ 59.09, I = 12; d 1.416, 2θ 65.97, I = 12; d 1.406, 2θ 66.51, I = 21


Entry 2:
Diffraction record for P2W2O11. The X-ray diffraction stick pattern is simulated, not measured: it uses a structure optimized by DFT (PBE+U) and Cu Kα X-rays.
Neutral-atom scattering factors, no anomalous dispersion.

Crystal structure
Cell: 7.998 12.743 8.010 Å, 90.00 92.39 90.00°
Fractional coordinates of all 60 atoms:
P1 0.072 0.250 0.344
P2 0.250 0.004 0.616
P3 0.250 0.496 0.616
P4 0.252 0.750 0.106
P5 0.748 0.250 0.894
P6 0.750 0.504 0.384
P7 0.750 0.996 0.384
P8 0.928 0.750 0.656
W1 0.149 0.002 0.192
W2 0.149 0.498 0.192
W3 0.361 0.750 0.694
W4 0.362 0.250 0.690
W5 0.638 0.750 0.310
W6 0.639 0.250 0.306
W7 0.851 0.502 0.808
W8 0.851 0.998 0.808
O1 0.000 0.000 0.000
O2 0.000 0.500 0.000
O3 0.076 0.025 0.672
O4 0.076 0.475 0.672
O5 0.103 0.152 0.234
O6 0.103 0.348 0.234
O7 0.104 0.750 0.592
O8 0.169 0.653 0.184
O9 0.169 0.847 0.184
O10 0.204 0.250 0.492
O11 0.212 0.250 0.839
O12 0.227 0.750 0.917
O13 0.256 0.506 0.421
O14 0.256 0.994 0.421
O15 0.331 0.025 0.089
O16 0.331 0.475 0.089
O17 0.331 0.595 0.694
O18 0.331 0.905 0.694
O19 0.371 0.097 0.665
O20 0.371 0.403 0.665
O21 0.443 0.750 0.152
O22 0.443 0.750 0.484
O23 0.453 0.250 0.188
O24 0.547 0.750 0.812
O25 0.557 0.250 0.516
O26 0.557 0.250 0.848
O27 0.629 0.597 0.335
O28 0.629 0.903 0.335
O29 0.669 0.095 0.306
O30 0.669 0.405 0.306
O31 0.669 0.525 0.911
O32 0.669 0.975 0.911
O33 0.744 0.006 0.579
O34 0.744 0.494 0.579
O35 0.773 0.250 0.083
O36 0.788 0.750 0.161
O37 0.796 0.750 0.508
O38 0.831 0.153 0.816
O39 0.831 0.347 0.816
O40 0.896 0.250 0.408
O41 0.897 0.652 0.766
O42 0.897 0.848 0.766
O43 0.924 0.525 0.328
O44 0.924 0.975 0.328
********

Wanted
Could you work out how many lines further up have the word "not" in them; a number is enough?

Reply
3